Anyone else fall off the wagon in December?



## Someone pasted records of crystals at this point
/*
Calculated powder XRD pattern
Compound: Nd2Ho3Tm3
Radiation: copper Kα
Structure: the PBE geometry in Alexandria

The 8 most intense peaks (2θ from 5° to 70°), most intense first:
(hkl)  two_theta  I_rel
2 1 1  31.4  100
1 2 2  34.5  69
4 1 0  53.9  39
2 0 2  28.0  30
1 2 5  51.8  25
3 3 3  67.4  23
4 0 4  57.9  17
4 2 2  65.5  11

Cell: 9.0047 9.0047 11.0363 Å, 90.00 90.00 120.00°
Space group R32 (No. 155, hexagonal axes)
Asymmetric unit:
Nd  0.0000  0.0000  0.2493
Ho  0.0000  0.7485  0.5000
Tm  0.0000  0.2481  0.0000

***

Calculated powder XRD pattern
Compound: Nd5Ho2Tm
Radiation: copper Kα
Structure: the PBE geometry in Alexandria

The 5 most intense peaks (2θ from 5° to 70°), most intense first:
(hkl)  two_theta  I_rel
2 0 1  30.3  100
2 4 0  35.1  51
2 0 3  60.0  43
4 0 0  50.5  36
4 0 2  63.0  12

Cell: 7.228 14.468 5.117 Å, 90.00 90.00 90.00°
Space group Pbam (No. 55)
Asymmetric unit:
Nd  0.000  0.000  0.000
Nd  0.002  0.252  0.000
Nd  0.247  0.624  0.500
Ho  0.249  0.876  0.500
Tm  0.000  0.500  0.000

***

Calculated powder XRD pattern
Compound: NdHo8Tm5
Radiation: copper Kα
Structure: the PBE geometry in Alexandria

The 8 most intense peaks (2θ from 5° to 70°), most intense first:
(hkl)  two_theta  I_rel
2 1 3  34.0  100
1 3 0  30.0  69
3 0 1  29.8  65
1 0 3  28.0  52
3 2 1  35.5  50
1 3 2  34.9  41
2 2 2  32.2  23
1 3 6  63.3  20

Cell: 9.416 9.416 10.143 Å, 90.00 90.00 90.00°
Space group I-4 (No. 82)
Asymmetric unit:
Nd  0.000  0.000  0.000
Ho  0.071  0.176  0.648
Ho  0.089  0.329  0.998
Tm  0.000  0.500  0.750
Tm  0.114  0.292  0.323

***

Calculated powder XRD pattern
Compound: Nd4Ho3Tm3
Radiation: copper Kα
Structure: the PBE geometry in Alexandria

The 8 most intense peaks (2θ from 5° to 70°), most intense first:
(hkl)  two_theta  I_rel
1 3 1  32.0  100
0 2 4  30.5  87
2 2 4  57.8  20
1 3 7  58.9  19
0 0 8  56.1  19
1 5 3  47.0  14
0 4 4  38.8  12
2 0 0  47.9  12

Cell: 3.801 13.111 13.097 Å, 90.00 90.00 90.00°
Space group Amm2 (No. 38)
Asymmetric unit:
Nd  0.000  0.000  0.000
Nd  0.000  0.000  0.263
Nd  0.000  0.132  0.631
Ho  0.000  0.249  0.381
Ho  0.500  0.000  0.799
Tm  0.500  0.000  0.463
Tm  0.500  0.168  0.131

***

Calculated powder XRD pattern
Compound: Nd4HoTm2
Radiation: copper Kα
Structure: the PBE geometry in Alexandria

The 8 most intense peaks (2θ from 5° to 70°), most intense first:
(hkl)  two_theta  I_rel
1 7 1  30.2  100
2 0 2  31.5  63
3 5 1  32.2  33
4 2 0  30.8  31
3 7 1  37.1  27
2 2 2  32.4  24
1 7 3  50.5  20
0 2 2  28.6  16

Cell: 11.962 24.251 6.451 Å, 90.00 90.00 90.00°
Space group Fdd2 (No. 43)
Asymmetric unit:
Nd  0.052  0.429  0.000
Nd  0.070  0.356  0.470
Ho  0.000  0.000  0.005
Tm  0.025  0.284  0.944

***

Calculated powder XRD pattern
Compound: Nd8HoTm3
Radiation: copper Kα
Structure: the PBE geometry in Alexandria

The 8 most intense peaks (2θ from 5° to 70°), most intense first:
(hkl)  two_theta  I_rel
0 4 0  29.9  100
0 2 3  31.8  86
2 2 -2  31.9  83
0 6 3  54.3  56
2 4 1  42.8  37
*/

  • Yes, fell off the wagon completely! It's the snacks at work that are the worst. My willpower is not very strong. It will get better! ALSO, I may have gained a couple pounds back, but I won't gain them all back! I'll enjoy the snacks as long as they last, and get back into healthier habits again soon!
  • nickyfm
    nickyfm Posts: 1,214 Member
    I'm eatin a peanut butter and jelly sandwich in bed.

    Sorry thighs

    (I bet ill be able to lift pretty damn heavy tomorrow morning though!!)
  • mamaleftwich
    mamaleftwich Posts: 256 Member
    I actually was very disciplined...but that's just my personality...when I set my mind to something, for the most part, I will stay the course. I guess I look at it this way...nine months ago I decided to make a lifestyle change and be committed to losing weight. In those nine months, I've lost 59 lbs and I don't want to go back to the size 22W's! I like picking up a size 12 and being able to actually put them on and they fit properly and plus I still haven't reached my goal so I'm not trying to go backwards!!! I guess that is what motivated during Thanksgiving and Christmas to stay the course, eat a few things that I normally wouldn't eat, log EVERYTHING and stick with exercising and I feel great about it, I haven't been over my daily calorie allowances and don't feel as though I need to get "back" on course! I wish all of you a FANTASTIC 2013 and continued success in meeting your goals!
    JLBAMA2 Posts: 7 Member
    Oh my goodness, yes! Someone on this site profoundly hurt my feelings in November, I deleted my account, and things have not gone well since.

    Don't ever let anyone stop you from doing something! Don't give them that power. Some people have to cut down others in order to make themselves feel valuable or relevant.
  • lookpretty
    lookpretty Posts: 276 Member
    Ive struggled the whole year
  • artslady96
    artslady96 Posts: 132 Member
    Yes, I definitely did that. The important thing is that we are back and ready to hunker down to finish what we started.
  • KarenK37
    KarenK37 Posts: 125 Member
    I totally fell off the wagon and have no regrets, I wanted to enjoy my holidays with my family free of worry. I think I gained about 5 pounds and now I am ready to get back on the wagon. It's nice to know there are others out there who have fallen off the wagon too.
  • harvo
    harvo Posts: 4,676 Member
    I will assume that was what ran over me several times a day....ugh...
  • jcstanton
    jcstanton Posts: 1,849 Member
    I haven't worked out (though I have had some very active days) since the first week in December, and my eating has been atrocious. I'm dreading stepping on the scales. Going to use the New Year as a new beginning, though. I get paid again on January 4th, and I'm planning to go to Whole Foods and stock up on some good, healthy foods and I'm planning a monster workout for New Year's Day.

    Edit to add: That is not to say that I don't have plans to get back on track in the mean time, though. Never a good idea to put off until tomorrow what you can do today.
  • Oh my goodness, yes! Someone on this site profoundly hurt my feelings in November, I deleted my account, and things have not gone well since.

+++
# 1
For Ho3Tm2Zn2, a structure optimized by DFT (PBE) gives the computed powder XRD pattern in this record (CuKα).
Neutral-atom scattering factors, no anomalous dispersion.

The 12 most intense peaks (2θ from 5° to 70°), by angle:
3.041 Å, 2θ = 29.37°, intensity 20
2.957 Å, 2θ = 30.22°, intensity 26
2.807 Å, 2θ = 31.88°, intensity 40
2.770 Å, 2θ = 32.31°, intensity 100
2.644 Å, 2θ = 33.90°, intensity 23
2.600 Å, 2θ = 34.50°, intensity 28
2.588 Å, 2θ = 34.67°, intensity 17
2.467 Å, 2θ = 36.42°, intensity 28
2.261 Å, 2θ = 39.88°, intensity 15
1.817 Å, 2θ = 50.20°, intensity 17
1.754 Å, 2θ = 52.16°, intensity 23
1.595 Å, 2θ = 57.80°, intensity 15

Structural model:
abc: 12.8266 3.6345 8.8769
angles: 90.00 115.64 90.00
Atoms (fractional coordinates):
Ho 0.0000 0.0000 0.0000
Ho 0.1108 0.0000 0.4418
Ho 0.3892 0.5000 0.5582
Ho 0.5000 0.5000 0.0000
Ho 0.6108 0.5000 0.4418
Ho 0.8892 0.0000 0.5582
Tm 0.1468 0.5000 0.8116
Tm 0.3532 0.0000 0.1884
Tm 0.6468 0.0000 0.8116
Tm 0.8532 0.5000 0.1884
Zn 0.1812 0.5000 0.2215
Zn 0.3188 0.0000 0.7785
Zn 0.6812 0.0000 0.2215
Zn 0.8188 0.5000 0.7785

---

# 2
For IrRh3, a structure optimized by DFT (PBE) gives the computed powder XRD pattern in this record (CuKα).
Neutral-atom scattering factors, no anomalous dispersion.

The 12 most intense peaks (2θ from 5° to 70°), by angle:
5.442 Å, 2θ = 16.29°, intensity 7
3.846 Å, 2θ = 23.13°, intensity 3
3.141 Å, 2θ = 28.42°, intensity 3
2.723 Å, 2θ = 32.89°, intensity 2
2.437 Å, 2θ = 36.89°, intensity 2
2.222 Å, 2θ = 40.59°, intensity 100
2.058 Å, 2θ = 43.99°, intensity 2
1.925 Å, 2θ = 47.22°, intensity 48
1.722 Å, 2θ = 53.20°, intensity 1
1.510 Å, 2θ = 61.41°, intensity 1
1.363 Å, 2θ = 68.92°, intensity 5
1.361 Å, 2θ = 69.02°, intensity 26

Structural model:
abc: 2.7250 3.8462 5.4423
angles: 90.00 90.00 90.00
Atoms (fractional coordinates):
Ir 0.0000 0.0000 0.0000
Rh 0.0000 0.0000 0.5000
Rh 0.5000 0.5000 0.2477
Rh 0.5000 0.5000 0.7523

---

# 3
For Ce2Se2F, a structure optimized by DFT (PBE) gives the computed powder XRD pattern in this record (CuKα).
Neutral-atom scattering factors, no anomalous dispersion.

The 12 most intense peaks (2θ from 5° to 70°), by angle:
3.696 Å, 2θ = 24.08°, intensity 68
3.413 Å, 2θ = 26.11°, intensity 36
3.373 Å, 2θ = 26.43°, intensity 63
3.343 Å, 2θ = 26.67°, intensity 34
2.995 Å, 2θ = 29.83°, intensity 71
2.666 Å, 2θ = 33.62°, intensity 98
2.374 Å, 2θ = 37.89°, intensity 100
2.091 Å, 2θ = 43.26°, intensity 43
2.030 Å, 2θ = 44.64°, intensity 40
1.848 Å, 2θ = 49.32°, intensity 27
1.459 Å, 2θ = 63.80°, intensity 32
1.426 Å, 2θ = 65.47°, intensity 30

Structural model:
abc: 9.0657 9.0657 6.7457
angles: 90.00 90.00 154.12
Atoms (fractional coordinates):
Ce 0.0732 0.9268 0.5000
Ce 0.3240 0.6760 0.5271
Ce 0.6760 0.3240 0.0271
Ce 0.9268 0.0732 0.0000
Se 0.2994 0.7006 0.9955
Se 0.4710 0.5290 0.3034
Se 0.5290 0.4710 0.8034
Se 0.7006 0.2994 0.4955
F 0.1174 0.8826 0.1509
F 0.8826 0.1174 0.6509

---

# 4
+++

    November must start the Season of Nastiness.
  • Hey , try to think of them with smelly breath , in a string vest and scratching their bottom, this should be enough to make you laugh at least ! xx
    I really did well over 2011 , okay this year until December when all my old habits gradually resurfaced. I weighed this morning and cried. i am feeling better now and am putting my "plan " in place and could really do with just a person to talk to occasionally .
    I am glad you are back and WELCOME x
  • sherisse69
    sherisse69 Posts: 795 Member
    There is no wagon. Beginning now, do the things that you know you should do to regain your health.

    Definitely like this - thanks :)
  • dbutorac
    dbutorac Posts: 120
    yes, but I weighed myself this morning. Not horrible, I am up about 10 lbs. since my low this summer & 7 lbs. above my BMI. But today is a new day. Thanks for posting, I need the motivation.
  • I can honestly say I didn't fall off but maybe went to the edge a few times. I maintained my workouts and even increased it by doing a few double workout days with yoga and CrossFit. I tried not to feel too guilty about indulging in my favorite part of the holidays (Work Christmas Party, Friend's Christmas gatherings) which, of course, the food but I did notice that retaining water due to the increase in sodium made me gain 2-3 lbs but quickly lost when I drank more water and exercised. After the New Year's, I will be working really hard to lose the last 15 lbs for my goal.
  • piggydog
    piggydog Posts: 322
    I gave up and jumped off the ledge and hit rock bottom the middle of Novemeber... The fella I was dating for 3 years that I thought I was going to marry and I broke up... I'm devistated... We officially broke up on christmas...
  • jeremybrooks
    jeremybrooks Posts: 11 Member
    I've been logging in, and posting some foods. Usually by the end of the day, I just make up an astronomical number for quick add calories and finish the day. I'm determined to get back on track ASAP. I like how losing weight feels and this holiday interruption won't slow me down. Good luck everyone!
  • If anything, I took this month even more seriously. On Christmas Eve, Christmas Day and Boxing Day, I could be found in the gym. Not sure where I got the motivation from, but I'm glad it hit me. I don't see myself stopping either. :)

    You ROCK!!!!!!!... (laffing) I too found my way to the gym & mostly had it to myself Christmas Eve and Christmas Day. Shared an hour of it with that guy I'm totally crushing over because he sings with his earbuds in too.

**These crystal structures were left in the page by mistake**
┌──
Structure and calculated X-ray diffraction stick pattern of CdAgO2 (the GGA-PBE geometry in the Materials Project; λ = 1.5418 Å (Cu Kα)).
Peak positions follow from Bragg's law for the DFT cell and can differ from measured ones.

abc: 6.902 4.535 3.476
angles: 90.00 90.00 90.00
Positions (direct):
Cd 0.250 0.000 0.010
Cd 0.750 0.000 0.990
Ag 0.000 0.500 0.500
Ag 0.500 0.500 0.500
O 0.000 0.000 0.500
O 0.250 0.500 0.866
O 0.500 0.000 0.500
O 0.750 0.500 0.134

Principal peaks in the range 10 to 90 degrees two-theta, by angle:
| 2θ/deg | d (Å) | I (rel.) | h k l |
| --- | --- | --- | --- |
| 32.46 | 2.759 | 86 | 0 1 1 |
| 32.61 | 2.746 | 80 | 2 1 0 |
| 36.70 | 2.449 | 100 | 2 0 1 |
| 39.75 | 2.268 | 41 | 0 2 0 |
| 55.21 | 1.664 | 57 | 2 2 1 |
| 63.33 | 1.469 | 27 | 2 1 2 |

~~~~~

1.
Starting from a DFT-relaxed cell (GGA-PBE, the Materials Project), the XRD peak list of Mg14CoMo was calculated for Cu Kα, 1.54184 Å.
No peak broadening, texture or thermal motion is included.

Cell: 9.867 6.261 6.261 Å, 59.37 90.00 90.00°
Element x y z (fractional)
Mg 0.000 0.000 0.000
Mg 0.000 0.004 0.501
Mg 0.000 0.499 0.499
Mg 0.000 0.501 0.004
Mg 0.254 0.661 0.661
Mg 0.263 0.159 0.159
Mg 0.269 0.172 0.672
Mg 0.269 0.672 0.172
Mg 0.500 0.505 0.997
Mg 0.500 0.997 0.505
Mg 0.731 0.172 0.672
Mg 0.731 0.672 0.172
Mg 0.737 0.159 0.159
Mg 0.746 0.661 0.661
Co 0.500 0.006 0.006
Mo 0.500 0.507 0.507

Largest 6 diffraction maxima, in order of falling intensity, 5° ≤ 2θ ≤ 70°:
2θ (°)	d_spacing	Rel. int.
38.06	2.364	100
8.96	9.867	63
37.77	2.382	56
36.42	2.467	37
33.26	2.694	31
18.63	4.763	20


2.
Starting from a DFT-relaxed cell (GGA-PBE, the Materials Project), the XRD peak list of MgCoMoS4 was calculated for Cu Kα, 1.54184 Å.
No peak broadening, texture or thermal motion is included.

Cell: 7.203 7.203 7.203 Å, 120.15 119.37 90.42°
└──

    I try not to eat it if I'm not going to burn it!!
  • canadiandee
    canadiandee Posts: 196 Member
    Yep, it's been a bit of a bad week. On the upside, I stepped back on the scale this morning, assessed the damage, and felt ready to move past it. During the days I overate this week, I was aware of how ungood it felt to be overfull, so I'm keeping that in my foreground as I hit my reset button today. :-) Good luck everyone - we can do this!
  • buffybabe
    buffybabe Posts: 180 Member
    Hahaha, fall off the wagon? I fell off the train and it has been a wild ride since. Cookies, candy, pie, ice cream- what was I thinking? Oh yeah, I had to compare neighbors chocolate chip cookies to MIL's. (neighbor's was better). I felt ill at work today my pants were so tight. The Christmas pictures I won't even post to my family with the big moon face and double chins.

    But, do I regret it? Not a bit. Okay I put on maybe 5 pounds but it was worth the family and friends time. Now onward to 2013!

    haha this is exactly how i feel
  • KitoBrandt
    KitoBrandt Posts: 15 Member
    I definitely let myself go. Probably going to delay my workout goals a month or so, but given the holidays I don't mind.